Request >
The reader should set down the data underneath from the first line to the one with "_space_group_IT_number 44" verbatim.

Listing >
┌──
1.
This record from Alexandria describes PmPa2Zn9 after structural relaxation. The functional is PBE.

Structure (extended XYZ):
```
12
Lattice="2.680 1.547 8.831 -2.680 1.547 8.831 0.000 -3.095 8.831" Properties=species:S:1:pos:R:3 pbc="T T T"
Pm 0.000 0.000 0.000
Pa 0.000 0.000 3.973
Pa 0.000 0.000 22.519
Zn -1.359 -0.785 10.994
Zn 0.000 0.000 8.894
Zn 0.000 -1.569 15.498
Zn -1.359 0.785 15.498
Zn 0.000 0.000 13.246
Zn 1.359 -0.785 10.994
Zn 0.000 1.569 10.994
Zn 0.000 0.000 17.598
Zn 1.359 0.785 15.498
```

Values from the calculation:
- Final energy: -3.10 eV per atom
- Space group: R-3m (166)
- Energy relative to the elements: -16 kJ per mole of atoms

---

2.
This record from Alexandria describes LaPbO after structural relaxation. The functional is PBE.

Structure (extended XYZ):
```
6
Lattice="4.175 0.000 0.000 0.000 4.175 0.000 0.000 0.000 8.485" Properties=species:S:1:pos:R:3 pbc="T T T"
La 1.044 1.044 1.168
La 3.131 3.131 7.317
Pb 1.044 1.044 4.936
Pb 3.131 3.131 3.549
O 1.044 3.131 0.000
O 3.131 1.044 0.000
```

Values from the calculation:
- Final energy: -6.68 eV per atom
- Space group: P4/nmm (129)
- Formation energy (no corrections): -2.15 eV per atom

---

3.
This record from Alexandria describes BaSnHg3 after structural relaxation. The functional is PBE.

Structure (extended XYZ):
```
5
Lattice="6.292 0.000 0.000 0.000 6.292 0.000 0.000 0.000 6.292" Properties=species:S:1:pos:R:3 pbc="T T T"
Ba 0.000 0.000 0.000
Sn 3.146 3.146 3.146
Hg 0.000 0.000 3.146
Hg 0.000 3.146 0.000
Hg 3.146 0.000 0.000
```

Values from the calculation:
- Final energy: -0.87 eV per atom
- Offset from the most stable computed form: 875 meV/atom
- Space group: Pm-3m (221)
- Energy relative to the elements: 47 kJ per mole of atoms

----------

(1)
A plane-wave DFT calculation with PBE was carried out for Hg2AuN2 after structural relaxation.

magnetization	0.273	μB/atom
uncorrected energy	-24.1	eV/cell
V	157	Å³ per cell
density of states at the Fermi level	0.5064	states/eV per atom

Cell and atoms, written as CIF:
```
data_Hg2AuN2
_cell_length_a 7.238
_cell_length_b 7.238
_cell_length_c 3.003
_cell_angle_alpha 90.00
_cell_angle_beta 90.00
_cell_angle_gamma 90.00
_space_group_name_H-M_alt 'P 4/m b m'
_space_group_IT_number 127
_space_group_name_Hall '-P 4 2ab'
loop_
_atom_site_label
_atom_site_type_symbol
_atom_site_fract_x
_atom_site_fract_y
_atom_site_fract_z
_atom_site_occupancy
Hg1 Hg 0.146 0.354 0.000 1
Au1 Au 0.000 0.000 0.000 1
N1 N 0.156 0.656 0.500 1
```

(2)
A plane-wave DFT calculation with PBE was carried out for Li3Zn4Au after structural relaxation.

magnetization	0.000	μB/atom
V	244	Å³ per cell
density of states at the Fermi level	0.2903	states/eV per atom
ΔE_f	-0.177	eV/atom

Cell and atoms, written as CIF:
```
data_Li3Zn4Au
_cell_length_a 5.203
_cell_length_b 9.072
_cell_length_c 5.173
_cell_angle_alpha 90.00
_cell_angle_beta 90.00
_cell_angle_gamma 90.00
_space_group_name_H-M_alt 'I m m 2'
_space_group_IT_number 44
_space_group_name_Hall 'I 2 -2'
loop_
_atom_site_label
_atom_site_type_symbol
_atom_site_fract_x
_atom_site_fract_y
_atom_site_fract_z
_atom_site_occupancy
Li1 Li 0.000 0.000 0.000 1
Li2 Li 0.000 0.249 0.748 1
Zn1 Zn 0.000 0.249 0.253 1
Zn2 Zn 0.248 0.000 0.490 1
Au1 Au 0.000 0.500 0.504 1
```

(3)
A plane-wave DFT calculation with PBE was carried out for BaIn4Ga after structural relaxation.

magnetization	0.000	μB/atom
V	722	Å³ per cell
density of states at the Fermi level	0.5179	states/eV per atom
ΔE_f	-0.137	eV/atom

Cell and atoms, written as CIF:
```
data_BaIn4Ga
_cell_length_a 8.971
_cell_length_b 8.971
_cell_length_c 8.971
_cell_angle_alpha 90.00
_cell_angle_beta 90.00
_cell_angle_gamma 90.00
_space_group_name_H-M_alt 'F -4 3 m'
_space_group_IT_number 216
_space_group_name_Hall 'F -4 2 3'
loop_
_atom_site_label
_atom_site_type_symbol
_atom_site_fract_x
_atom_site_fract_y
_atom_site_fract_z
_atom_site_occupancy
Ba1 Ba 0.000 0.000 0.000 1
In1 In 0.124 0.124 0.624 1
Ga1 Ga 0.250 0.250 0.250 1
```
└──

Here it is >
1.
This record from Alexandria describes PmPa2Zn9 after structural relaxation. The functional is PBE.

Structure (extended XYZ):
```
12
Lattice="2.680 1.547 8.831 -2.680 1.547 8.831 0.000 -3.095 8.831" Properties=species:S:1:pos:R:3 pbc="T T T"
Pm 0.000 0.000 0.000
Pa 0.000 0.000 3.973
Pa 0.000 0.000 22.519
Zn -1.359 -0.785 10.994
Zn 0.000 0.000 8.894
Zn 0.000 -1.569 15.498
Zn -1.359 0.785 15.498
Zn 0.000 0.000 13.246
Zn 1.359 -0.785 10.994
Zn 0.000 1.569 10.994
Zn 0.000 0.000 17.598
Zn 1.359 0.785 15.498
```

Values from the calculation:
- Final energy: -3.10 eV per atom
- Space group: R-3m (166)
- Energy relative to the elements: -16 kJ per mole of atoms

---

2.
This record from Alexandria describes LaPbO after structural relaxation. The functional is PBE.

Structure (extended XYZ):
```
6
Lattice="4.175 0.000 0.000 0.000 4.175 0.000 0.000 0.000 8.485" Properties=species:S:1:pos:R:3 pbc="T T T"
La 1.044 1.044 1.168
La 3.131 3.131 7.317
Pb 1.044 1.044 4.936
Pb 3.131 3.131 3.549
O 1.044 3.131 0.000
O 3.131 1.044 0.000
```

Values from the calculation:
- Final energy: -6.68 eV per atom
- Space group: P4/nmm (129)
- Formation energy (no corrections): -2.15 eV per atom

---

3.
This record from Alexandria describes BaSnHg3 after structural relaxation. The functional is PBE.

Structure (extended XYZ):
```
5
Lattice="6.292 0.000 0.000 0.000 6.292 0.000 0.000 0.000 6.292" Properties=species:S:1:pos:R:3 pbc="T T T"
Ba 0.000 0.000 0.000
Sn 3.146 3.146 3.146
Hg 0.000 0.000 3.146
Hg 0.000 3.146 0.000
Hg 3.146 0.000 0.000
```

Values from the calculation:
- Final energy: -0.87 eV per atom
- Offset from the most stable computed form: 875 meV/atom
- Space group: Pm-3m (221)
- Energy relative to the elements: 47 kJ per mole of atoms

----------

(1)
A plane-wave DFT calculation with PBE was carried out for Hg2AuN2 after structural relaxation.

magnetization	0.273	μB/atom
uncorrected energy	-24.1	eV/cell
V	157	Å³ per cell
density of states at the Fermi level	0.5064	states/eV per atom

Cell and atoms, written as CIF:
```
data_Hg2AuN2
_cell_length_a 7.238
_cell_length_b 7.238
_cell_length_c 3.003
_cell_angle_alpha 90.00
_cell_angle_beta 90.00
_cell_angle_gamma 90.00
_space_group_name_H-M_alt 'P 4/m b m'
_space_group_IT_number 127
_space_group_name_Hall '-P 4 2ab'
loop_
_atom_site_label
_atom_site_type_symbol
_atom_site_fract_x
_atom_site_fract_y
_atom_site_fract_z
_atom_site_occupancy
Hg1 Hg 0.146 0.354 0.000 1
Au1 Au 0.000 0.000 0.000 1
N1 N 0.156 0.656 0.500 1
```

(2)
A plane-wave DFT calculation with PBE was carried out for Li3Zn4Au after structural relaxation.

magnetization	0.000	μB/atom
V	244	Å³ per cell
density of states at the Fermi level	0.2903	states/eV per atom
ΔE_f	-0.177	eV/atom

Cell and atoms, written as CIF:
```
data_Li3Zn4Au
_cell_length_a 5.203
_cell_length_b 9.072
_cell_length_c 5.173
_cell_angle_alpha 90.00
_cell_angle_beta 90.00
_cell_angle_gamma 90.00
_space_group_name_H-M_alt 'I m m 2'
_space_group_IT_number 44